# Entries
-- begin --
# 1
Below is C34H35ClN3NiO9STe as an isolated structure, with properties calculated with ωB97M-V/def2-TZVPD.

```
! wB97M-V def2-TZVPD RIJCOSX def2/J DEFGRID3
* xyz -2 4
Ni -1.984 -1.539 -0.298
O -1.529 -1.617 3.722
S -0.914 -1.988 2.474
O 0.336 -2.732 2.583
O -0.497 -0.622 1.746
O -1.855 -2.607 1.522
N -3.733 -0.803 0.584
C -4.224 0.339 -0.148
C -5.251 1.153 0.324
C -5.651 2.252 -0.422
C -5.033 2.539 -1.633
C -3.989 1.737 -2.134
C -3.298 1.988 -3.343
C -2.268 1.109 -3.728
C -1.934 0.047 -2.927
N -2.556 -0.220 -1.753
C -3.581 0.604 -1.362
H -4.364 -1.603 0.549
H -3.558 -0.594 1.562
H -5.726 0.916 1.269
H -6.450 2.890 -0.058
H -5.345 3.401 -2.214
H -3.572 2.841 -3.952
H -1.723 1.259 -4.652
H -1.139 -0.633 -3.205
C 3.862 1.594 6.456
C 3.209 1.077 5.201
C 2.208 1.789 4.563
C 1.601 1.326 3.395
C 0.517 2.179 2.794
C 2.000 0.110 2.827
Te 1.360 -0.817 0.844
N 0.037 -1.526 -0.641
C 0.858 -1.856 -1.625
O 2.060 -1.471 -1.687
C 0.372 -2.786 -2.703
C 0.799 -2.595 -4.014
C 0.356 -3.437 -5.022
C -0.502 -4.490 -4.721
C -0.907 -4.699 -3.411
C -0.469 -3.849 -2.404
C 1.759 1.065 -0.102
C 3.121 1.300 -0.343
C 4.185 0.321 0.079
C 3.505 2.447 -1.025
C 2.574 3.361 -1.497
C 3.000 4.587 -2.262
C 1.235 3.104 -1.260
C 0.803 1.975 -0.566
C -0.675 1.838 -0.334
C 2.999 -0.633 3.488
C 3.460 -1.996 3.013
C 3.586 -0.138 4.650
H 3.340 2.473 6.836
H 4.903 1.876 6.274
H 3.863 0.836 7.243
H 1.873 2.732 4.989
H 0.122 2.873 3.539
H -0.298 1.558 2.432
H 0.901 2.766 1.956
H 1.476 -1.775 -4.222
H 0.674 -3.271 -6.045
H -0.859 -5.141 -5.511
H -1.586 -5.506 -3.166
H -0.790 -4.005 -1.384
H 4.007 -0.642 -0.406
H 4.188 0.182 1.162
H 5.172 0.683 -0.211
H 4.562 2.615 -1.213
H 4.087 4.652 -2.325
H 2.633 5.497 -1.783
H 2.603 4.571 -3.279
H 0.483 3.796 -1.628
H -1.230 2.119 -1.230
H -1.001 2.487 0.481
H -0.947 0.822 -0.084
H 2.615 -2.674 2.906
H 4.156 -2.421 3.738
H 3.975 -1.951 2.050
H 4.347 -0.734 5.148
O -3.445 -5.248 -0.346
Cl -4.078 -4.080 -0.885
O -4.946 -3.473 0.098
O -4.825 -4.411 -2.065
O -3.046 -3.110 -1.268
*
```

Output
Frontier orbital gap (alpha / beta) (eV): 4.1 / 7.0
ΔE to the lowest compared entry with this formula, charge and spin (kcal per mole): 0.00
⟨S²⟩: 3.78
LUMO level (alpha / beta) (eV): 3.9933 / 3.9928
DFT total energy (eV): -130414.283
Highest occupied orbital energy (alpha / beta) (eV): -0.1 / -3.0

---

# 2
Below is C34H35GeN6O5S2W as an isolated structure in a non-equilibrium geometry, with properties calculated with ωB97M-V/def2-TZVPD.

```
! wB97M-V def2-TZVPD RIJCOSX def2/J DEFGRID3
* xyz 2 2
W 0.359 -0.175 -0.104
N -1.339 -1.950 3.690
C -0.969 -1.564 2.453
S 0.143 -0.235 2.361
N -1.440 -2.221 1.444
N -1.023 -1.762 0.191
C -1.427 -2.576 -0.738
C -1.262 -2.475 -2.166
C -1.838 -3.427 -3.012
C -1.684 -3.309 -4.380
C -0.962 -2.241 -4.913
C -0.378 -1.285 -4.093
C -0.538 -1.441 -2.735
O 0.014 -0.552 -1.862
H -1.190 -1.328 4.466
H -2.109 -2.598 3.761
H -1.989 -3.426 -0.361
H -2.411 -4.243 -2.589
H -2.125 -4.042 -5.040
H -0.853 -2.150 -5.985
H 0.178 -0.447 -4.488
C 3.548 -5.343 1.298
C 2.427 -4.320 1.138
S 2.978 -2.787 0.487
O 1.817 -1.894 0.499
O 3.670 -2.940 -0.766
C 4.125 -2.147 1.681
C 4.896 -0.938 1.134
N 3.977 0.017 0.474
C 3.016 0.707 1.164
N 2.077 1.141 0.329
C 2.445 0.711 -0.955
C 3.612 0.055 -0.832
N 4.436 -0.452 -1.962
O 5.565 -0.787 -1.704
O 3.854 -0.512 -3.011
C 3.103 1.023 2.606
H 3.104 -6.333 1.384
H 4.132 -5.164 2.199
H 4.208 -5.351 0.431
H 1.903 -4.082 2.066
H 1.689 -4.623 0.388
H 4.840 -2.935 1.920
H 3.526 -1.920 2.564
H 5.639 -1.228 0.402
H 5.394 -0.427 1.955
H 2.142 1.256 -1.840
H 3.984 1.653 2.757
H 3.194 0.140 3.236
H 2.223 1.586 2.903
C -0.273 6.312 0.583
C -1.570 5.829 0.689
C -1.808 4.463 0.647
C -0.753 3.557 0.507
C 0.542 4.056 0.392
C 0.781 5.425 0.429
Ge -1.323 1.725 0.297
C -2.704 1.272 1.565
C -2.900 2.049 2.706
C -3.885 1.719 3.628
C -4.677 0.596 3.429
C -4.487 -0.193 2.303
C -3.507 0.146 1.378
C -2.075 1.707 -1.527
C -3.418 1.437 -1.782
C -3.947 1.605 -3.060
C -3.141 2.045 -4.097
C -1.801 2.329 -3.856
-- stop --

# Job
Now reproduce all of the listing further up unchanged.

# Done
# 1
Below is C34H35ClN3NiO9STe as an isolated structure, with properties calculated with ωB97M-V/def2-TZVPD.

```
! wB97M-V def2-TZVPD RIJCOSX def2/J DEFGRID3
* xyz -2 4
Ni -1.984 -1.539 -0.298
O -1.529 -1.617 3.722
S -0.914 -1.988 2.474
O 0.336 -2.732 2.583
O -0.497 -0.622 1.746
O -1.855 -2.607 1.522
N -3.733 -0.803 0.584
C -4.224 0.339 -0.148
C -5.251 1.153 0.324
C -5.651 2.252 -0.422
C -5.033 2.539 -1.633
C -3.989 1.737 -2.134
C -3.298 1.988 -3.343
C -2.268 1.109 -3.728
C -1.934 0.047 -2.927
N -2.556 -0.220 -1.753
C -3.581 0.604 -1.362
H -4.364 -1.603 0.549
H -3.558 -0.594 1.562
H -5.726 0.916 1.269
H -6.450 2.890 -0.058
H -5.345 3.401 -2.214
H -3.572 2.841 -3.952
H -1.723 1.259 -4.652
H -1.139 -0.633 -3.205
C 3.862 1.594 6.456
C 3.209 1.077 5.201
C 2.208 1.789 4.563
C 1.601 1.326 3.395
C 0.517 2.179 2.794
C 2.000 0.110 2.827
Te 1.360 -0.817 0.844
N 0.037 -1.526 -0.641
C 0.858 -1.856 -1.625
O 2.060 -1.471 -1.687
C 0.372 -2.786 -2.703
C 0.799 -2.595 -4.014
C 0.356 -3.437 -5.022
C -0.502 -4.490 -4.721
C -0.907 -4.699 -3.411
C -0.469 -3.849 -2.404
C 1.759 1.065 -0.102
C 3.121 1.300 -0.343
C 4.185 0.321 0.079
C 3.505 2.447 -1.025
C 2.574 3.361 -1.497
C 3.000 4.587 -2.262
C 1.235 3.104 -1.260
C 0.803 1.975 -0.566
C -0.675 1.838 -0.334
C 2.999 -0.633 3.488
C 3.460 -1.996 3.013
C 3.586 -0.138 4.650
H 3.340 2.473 6.836
H 4.903 1.876 6.274
H 3.863 0.836 7.243
H 1.873 2.732 4.989
H 0.122 2.873 3.539
H -0.298 1.558 2.432
H 0.901 2.766 1.956
H 1.476 -1.775 -4.222
H 0.674 -3.271 -6.045
H -0.859 -5.141 -5.511
H -1.586 -5.506 -3.166
H -0.790 -4.005 -1.384
H 4.007 -0.642 -0.406
H 4.188 0.182 1.162
H 5.172 0.683 -0.211
H 4.562 2.615 -1.213
H 4.087 4.652 -2.325
H 2.633 5.497 -1.783
H 2.603 4.571 -3.279
H 0.483 3.796 -1.628
H -1.230 2.119 -1.230
H -1.001 2.487 0.481
H -0.947 0.822 -0.084
H 2.615 -2.674 2.906
H 4.156 -2.421 3.738
H 3.975 -1.951 2.050
H 4.347 -0.734 5.148
O -3.445 -5.248 -0.346
Cl -4.078 -4.080 -0.885
O -4.946 -3.473 0.098
O -4.825 -4.411 -2.065
O -3.046 -3.110 -1.268
*
```

Output
Frontier orbital gap (alpha / beta) (eV): 4.1 / 7.0
ΔE to the lowest compared entry with this formula, charge and spin (kcal per mole): 0.00
⟨S²⟩: 3.78
LUMO level (alpha / beta) (eV): 3.9933 / 3.9928
DFT total energy (eV): -130414.283
Highest occupied orbital energy (alpha / beta) (eV): -0.1 / -3.0

---

# 2
Below is C34H35GeN6O5S2W as an isolated structure in a non-equilibrium geometry, with properties calculated with ωB97M-V/def2-TZVPD.

```
! wB97M-V def2-TZVPD RIJCOSX def2/J DEFGRID3
* xyz 2 2
W 0.359 -0.175 -0.104
N -1.339 -1.950 3.690
C -0.969 -1.564 2.453
S 0.143 -0.235 2.361
N -1.440 -2.221 1.444
N -1.023 -1.762 0.191
C -1.427 -2.576 -0.738
C -1.262 -2.475 -2.166
C -1.838 -3.427 -3.012
C -1.684 -3.309 -4.380
C -0.962 -2.241 -4.913
C -0.378 -1.285 -4.093
C -0.538 -1.441 -2.735
O 0.014 -0.552 -1.862
H -1.190 -1.328 4.466
H -2.109 -2.598 3.761
H -1.989 -3.426 -0.361
H -2.411 -4.243 -2.589
H -2.125 -4.042 -5.040
H -0.853 -2.150 -5.985
H 0.178 -0.447 -4.488
C 3.548 -5.343 1.298
C 2.427 -4.320 1.138
S 2.978 -2.787 0.487
O 1.817 -1.894 0.499
O 3.670 -2.940 -0.766
C 4.125 -2.147 1.681
C 4.896 -0.938 1.134
N 3.977 0.017 0.474
C 3.016 0.707 1.164
N 2.077 1.141 0.329
C 2.445 0.711 -0.955
C 3.612 0.055 -0.832
N 4.436 -0.452 -1.962
O 5.565 -0.787 -1.704
O 3.854 -0.512 -3.011
C 3.103 1.023 2.606
H 3.104 -6.333 1.384
H 4.132 -5.164 2.199
H 4.208 -5.351 0.431
H 1.903 -4.082 2.066
H 1.689 -4.623 0.388
H 4.840 -2.935 1.920
H 3.526 -1.920 2.564
H 5.639 -1.228 0.402
H 5.394 -0.427 1.955
H 2.142 1.256 -1.840
H 3.984 1.653 2.757
H 3.194 0.140 3.236
H 2.223 1.586 2.903
C -0.273 6.312 0.583
C -1.570 5.829 0.689
C -1.808 4.463 0.647
C -0.753 3.557 0.507
C 0.542 4.056 0.392
C 0.781 5.425 0.429
Ge -1.323 1.725 0.297
C -2.704 1.272 1.565
C -2.900 2.049 2.706
C -3.885 1.719 3.628
C -4.677 0.596 3.429
C -4.487 -0.193 2.303
C -3.507 0.146 1.378
C -2.075 1.707 -1.527
C -3.418 1.437 -1.782
C -3.947 1.605 -3.060
C -3.141 2.045 -4.097
C -1.801 2.329 -3.856